### Exercise
It remains to reproduce all of the calculation results further down without additions.

### Contents
- - -
# 1
The following is a simulated powder diffraction line list of GdBeAsO. It was derived from the PBE geometry in OQMD, using Cu Ka.
Lines closer than 0.1° are merged.

Largest 12 diffraction maxima, by angle, 2θ = 10–90°:
index  2theta  I/Imax
0 0 1  10.25  30
1 0 1  25.40  9
1 0 2  31.19  100
1 1 0  33.02  37
1 1 2  39.18  11
0 0 4  41.85  7
2 0 0  47.39  20
1 1 4  54.31  21
2 1 2  57.82  35
2 0 4  65.05  8
3 0 2  77.90  8
2 1 6  88.73  6

Structural model:
```
data_GdBeAsO
_chemical_formula_sum 'Gd2 Be2 As2 O2'
_cell_length_a 3.837
_cell_length_b 3.837
_cell_length_c 8.633
_cell_angle_alpha 90.00
_cell_angle_beta 90.00
_cell_angle_gamma 90.00
_space_group_name_H-M_alt 'P 4/n m m'
_space_group_IT_number 129
loop_
_space_group_symop_operation_xyz
'x,y,z'
'-x,-y,-z'
'-y+1/2,x,z'
'y+1/2,-x,-z'
'-x+1/2,-y+1/2,z'
'x+1/2,y+1/2,-z'
'y,-x+1/2,z'
'-y,x+1/2,-z'
'x+1/2,-y,-z'
'-x+1/2,y,z'
'-y,-x,-z'
'y,x,z'
'-x,y+1/2,-z'
'x,-y+1/2,z'
'y+1/2,x+1/2,-z'
'-y+1/2,-x+1/2,z'
loop_
_atom_site_label
_atom_site_type_symbol
_atom_site_fract_x
_atom_site_fract_y
_atom_site_fract_z
Gd1 Gd 0.250 0.250 0.136
Be1 Be 0.250 0.750 0.500
As1 As 0.250 0.250 0.655
O1 O 0.250 0.750 0.000
```

---

# 2
The following is a simulated powder diffraction line list of Rb2Cd3H6S3O16. It was derived from the PBE geometry in OQMD, using Cu Ka.
Lines closer than 0.1° are merged.

Largest 12 diffraction maxima, by angle, 2θ = 10–90°:
index  2theta  I/Imax
1 1 1  15.02  37
1 1 2  21.48  57
0 2 1  24.09  35
3 1 2  25.58  30
4 0 2  26.38  40
5 1 0  26.88  74
5 1 1  28.33  48
0 2 2  28.64  100
1 1 3  29.34  54
5 1 2  32.34  76
5 3 1  43.15  26
5 1 4  45.26  28

Structural model:
```
data_Rb2Cd3H6S3O16
_chemical_formula_sum 'Rb8 Cd12 H24 S12 O64'
_cell_length_a 18.252
_cell_length_b 7.944
_cell_length_c 10.054
_cell_angle_alpha 90.00
_cell_angle_beta 90.00
_cell_angle_gamma 90.00
_space_group_name_H-M_alt 'C m c 21'
_space_group_IT_number 36
loop_
_space_group_symop_operation_xyz
'x,y,z'
'-x,-y,z+1/2'
'-x,y,z'
'x,-y,z+1/2'
'x+1/2,y+1/2,z'
'-x+1/2,-y+1/2,z+1/2'
'-x+1/2,y+1/2,z'
'x+1/2,-y+1/2,z+1/2'
loop_
_atom_site_label
_atom_site_type_symbol
_atom_site_fract_x
_atom_site_fract_y
_atom_site_fract_z
Rb1 Rb 0.187 0.044 0.000
Cd1 Cd 0.000 0.180 0.266
Cd2 Cd 0.096 0.456 0.565
H1 H 0.000 0.426 0.395
H2 H 0.000 0.448 0.763
H3 H 0.091 0.173 0.721
H4 H 0.174 0.243 0.730
S1 S 0.000 0.195 0.934
S2 S 0.183 0.293 0.276
O1 O 0.000 0.070 0.044
O2 O 0.000 0.105 0.801
O3 O 0.000 0.330 0.456
O4 O 0.000 0.463 0.195
O5 O 0.067 0.300 0.936
O6 O 0.126 0.157 0.270
O7 O 0.132 0.215 0.668
O8 O 0.164 0.420 0.378
O9 O 0.190 0.376 0.143
O10 O 0.246 0.288 0.810
```

---

# 3
The following is a simulated powder diffraction line list of TbTmAg2Se4. It was derived from the PBE geometry in OQMD, using Cu Ka.
Lines closer than 0.1° are merged.

Largest 12 diffraction maxima, by angle, 2θ = 10–90°:
index  2theta  I/Imax
0 0 1  20.66  22
1 1 1  24.55  43
2 2 0  26.43  31
0 2 1  27.94  67
2 2 1  33.78  56
1 3 1  36.38  100
4 0 0  37.73  87
3 3 1  45.53  54
0 2 2  46.33  47
4 4 0  54.42  22
4 2 2  61.22  27
4 6 2  86.36  19

Structural model:
```
data_TbTmAg2Se4
_chemical_formula_sum 'Tb2 Tm2 Ag4 Se8'
_cell_length_a 9.529
_cell_length_b 9.547
_cell_length_c 4.300
_cell_angle_alpha 90.00
_cell_angle_beta 90.00
_cell_angle_gamma 90.00
_space_group_name_H-M_alt 'C m m 2'
_space_group_IT_number 35
loop_
_space_group_symop_operation_xyz
'x,y,z'
'-x,-y,z'
'-x,y,z'
'x,-y,z'
'x+1/2,y+1/2,z'
'-x+1/2,-y+1/2,z'
'-x+1/2,y+1/2,z'
'x+1/2,-y+1/2,z'
loop_
_atom_site_label
_atom_site_type_symbol
_atom_site_fract_x
_atom_site_fract_y
_atom_site_fract_z
Tb1 Tb 0.000 0.000 0.000
Tm1 Tm 0.000 0.500 0.592
Ag1 Ag 0.250 0.250 0.796
Se1 Se 0.000 0.301 0.080
Se2 Se 0.204 0.000 0.512
```

---

# 4
The following is a simulated powder diffraction line list of H2Os3C10O10. It was derived from the PBE geometry in OQMD, using Cu Ka.
Lines closer than 0.1° are merged.

Largest 12 diffraction maxima, by angle, 2θ = 10–90°:
- - -

### Done
# 1
The following is a simulated powder diffraction line list of GdBeAsO. It was derived from the PBE geometry in OQMD, using Cu Ka.
Lines closer than 0.1° are merged.

Largest 12 diffraction maxima, by angle, 2θ = 10–90°:
index  2theta  I/Imax
0 0 1  10.25  30
1 0 1  25.40  9
1 0 2  31.19  100
1 1 0  33.02  37
1 1 2  39.18  11
0 0 4  41.85  7
2 0 0  47.39  20
1 1 4  54.31  21
2 1 2  57.82  35
2 0 4  65.05  8
3 0 2  77.90  8
2 1 6  88.73  6

Structural model:
```
data_GdBeAsO
_chemical_formula_sum 'Gd2 Be2 As2 O2'
_cell_length_a 3.837
_cell_length_b 3.837
_cell_length_c 8.633
_cell_angle_alpha 90.00
_cell_angle_beta 90.00
_cell_angle_gamma 90.00
_space_group_name_H-M_alt 'P 4/n m m'
_space_group_IT_number 129
loop_
_space_group_symop_operation_xyz
'x,y,z'
'-x,-y,-z'
'-y+1/2,x,z'
'y+1/2,-x,-z'
'-x+1/2,-y+1/2,z'
'x+1/2,y+1/2,-z'
'y,-x+1/2,z'
'-y,x+1/2,-z'
'x+1/2,-y,-z'
'-x+1/2,y,z'
'-y,-x,-z'
'y,x,z'
'-x,y+1/2,-z'
'x,-y+1/2,z'
'y+1/2,x+1/2,-z'
'-y+1/2,-x+1/2,z'
loop_
_atom_site_label
_atom_site_type_symbol
_atom_site_fract_x
_atom_site_fract_y
_atom_site_fract_z
Gd1 Gd 0.250 0.250 0.136
Be1 Be 0.250 0.750 0.500
As1 As 0.250 0.250 0.655
O1 O 0.250 0.750 0.000
```

---

# 2
The following is a simulated powder diffraction line list of Rb2Cd3H6S3O16. It was derived from the PBE geometry in OQMD, using Cu Ka.
Lines closer than 0.1° are merged.

Largest 12 diffraction maxima, by angle, 2θ = 10–90°:
index  2theta  I/Imax
1 1 1  15.02  37
1 1 2  21.48  57
0 2 1  24.09  35
3 1 2  25.58  30
4 0 2  26.38  40
5 1 0  26.88  74
5 1 1  28.33  48
0 2 2  28.64  100
1 1 3  29.34  54
5 1 2  32.34  76
5 3 1  43.15  26
5 1 4  45.26  28

Structural model:
```
data_Rb2Cd3H6S3O16
_chemical_formula_sum 'Rb8 Cd12 H24 S12 O64'
_cell_length_a 18.252
_cell_length_b 7.944
_cell_length_c 10.054
_cell_angle_alpha 90.00
_cell_angle_beta 90.00
_cell_angle_gamma 90.00
_space_group_name_H-M_alt 'C m c 21'
_space_group_IT_number 36
loop_
_space_group_symop_operation_xyz
'x,y,z'
'-x,-y,z+1/2'
'-x,y,z'
'x,-y,z+1/2'
'x+1/2,y+1/2,z'
'-x+1/2,-y+1/2,z+1/2'
'-x+1/2,y+1/2,z'
'x+1/2,-y+1/2,z+1/2'
loop_
_atom_site_label
_atom_site_type_symbol
_atom_site_fract_x
_atom_site_fract_y
_atom_site_fract_z
Rb1 Rb 0.187 0.044 0.000
Cd1 Cd 0.000 0.180 0.266
Cd2 Cd 0.096 0.456 0.565
H1 H 0.000 0.426 0.395
H2 H 0.000 0.448 0.763
H3 H 0.091 0.173 0.721
H4 H 0.174 0.243 0.730
S1 S 0.000 0.195 0.934
S2 S 0.183 0.293 0.276
O1 O 0.000 0.070 0.044
O2 O 0.000 0.105 0.801
O3 O 0.000 0.330 0.456
O4 O 0.000 0.463 0.195
O5 O 0.067 0.300 0.936
O6 O 0.126 0.157 0.270
O7 O 0.132 0.215 0.668
O8 O 0.164 0.420 0.378
O9 O 0.190 0.376 0.143
O10 O 0.246 0.288 0.810
```

---

# 3
The following is a simulated powder diffraction line list of TbTmAg2Se4. It was derived from the PBE geometry in OQMD, using Cu Ka.
Lines closer than 0.1° are merged.

Largest 12 diffraction maxima, by angle, 2θ = 10–90°:
index  2theta  I/Imax
0 0 1  20.66  22
1 1 1  24.55  43
2 2 0  26.43  31
0 2 1  27.94  67
2 2 1  33.78  56
1 3 1  36.38  100
4 0 0  37.73  87
3 3 1  45.53  54
0 2 2  46.33  47
4 4 0  54.42  22
4 2 2  61.22  27
4 6 2  86.36  19

Structural model:
```
data_TbTmAg2Se4
_chemical_formula_sum 'Tb2 Tm2 Ag4 Se8'
_cell_length_a 9.529
_cell_length_b 9.547
_cell_length_c 4.300
_cell_angle_alpha 90.00
_cell_angle_beta 90.00
_cell_angle_gamma 90.00
_space_group_name_H-M_alt 'C m m 2'
_space_group_IT_number 35
loop_
_space_group_symop_operation_xyz
'x,y,z'
'-x,-y,z'
'-x,y,z'
'x,-y,z'
'x+1/2,y+1/2,z'
'-x+1/2,-y+1/2,z'
'-x+1/2,y+1/2,z'
'x+1/2,-y+1/2,z'
loop_
_atom_site_label
_atom_site_type_symbol
_atom_site_fract_x
_atom_site_fract_y
_atom_site_fract_z
Tb1 Tb 0.000 0.000 0.000
Tm1 Tm 0.000 0.500 0.592
Ag1 Ag 0.250 0.250 0.796
Se1 Se 0.000 0.301 0.080
Se2 Se 0.204 0.000 0.512
```

---

# 4
The following is a simulated powder diffraction line list of H2Os3C10O10. It was derived from the PBE geometry in OQMD, using Cu Ka.
Lines closer than 0.1° are merged.

Largest 12 diffraction maxima, by angle, 2θ = 10–90°: